Well, what about if the bushes were made of legos or plasticine? Or perhaps a candy mountain?
Now, if you want to arrive to actual figures about the size of runoff areas, you have to use the envelope of trajectories and a friction factor.
____________
1.
Molecular formula: C3HO2
Method: DFT, ωB97M-V/def2-TZVPD

**Energy relative to the best compared isomer or geometry (same formula, charge and spin)**: 1.379 eV
**E_LUMO**: 4.25 eV
**Net charge**: -1
**HOMO level**: -0.130 Ha
**SMILES string**: C#CC(=O)[O-]
**Orbital gap**: 0.2864 Eh

Last column: natural (NBO) charge in e.
Cartesian coordinates (Å):
1 C -0.15 1.21 1.00  -0.32
2 C -0.04 0.21 0.31  -0.03
3 C -0.01 -0.88 -0.64  0.65
4 O 0.45 -0.28 -1.95  -0.85
5 O -0.23 -2.09 -0.54  -0.65
6 H -0.02 1.83 1.82  0.21

***

2.
Molecular formula: C3HO2V
Method: DFT, ωB97M-V/def2-TZVPD

**Energy relative to the best compared isomer or geometry (same formula, charge and spin)**: 0.000 eV
**Spin multiplicity**: 4
**E_LUMO (alpha / beta)**: -6.07 / -6.11 eV
**Net charge**: +1
**HOMO level (alpha / beta)**: -0.552 / -0.556 Ha
**Orbital gap (alpha / beta)**: 0.3286 / 0.3311 Eh
**Expectation value of S²**: 3.759

Last column: natural (NBO) charge in e.
Cartesian coordinates (Å):
1 O 0.15 1.37 0.74  -0.66
2 O -1.02 -0.40 1.25  -0.65
3 C -0.27 0.22 0.44  0.71
4 V -0.96 1.20 2.32  1.52
5 C 0.82 -1.21 -1.49  -0.07
6 C 0.20 -0.44 -0.76  -0.14
7 H 1.09 -0.74 -2.49  0.29

***

3.
Molecular formula: C3HO3
Method: DFT, ωB97M-V/def2-TZVPD

**Energy relative to the best compared isomer or geometry (same formula, charge and spin)**: 0.741 eV
**E_LUMO**: 4.20 eV
**Net charge**: -1
**HOMO level**: -0.141 Ha
**SMILES string**: O=C=CC(=O)[O-]
**Orbital gap**: 0.2949 Eh

Last column: natural (NBO) charge in e.
Cartesian coordinates (Å):
1 O 1.39 1.79 0.49  -0.59
2 C 0.36 1.24 0.27  0.60
3 C -0.59 0.48 -0.18  -0.69
4 C 0.12 -1.11 -0.04  0.85
5 O 0.71 -1.49 -1.04  -0.71
6 O -0.25 -1.57 1.02  -0.71
7 H -1.73 0.66 -0.52  0.25

***

4.
Molecular formula: C3HO3
Method: DFT, ωB97M-V/def2-TZVPD

**Energy relative to the best compared isomer or geometry (same formula, charge and spin)**: 1.130 eV
**E_LUMO**: 3.87 eV
**Net charge**: -1
**HOMO level**: -0.117 Ha
**Orbital gap**: 0.2590 Eh

Last column: natural (NBO) charge in e.
Cartesian coordinates (Å):
1 C -1.69 -0.53 0.25  0.52
2 C 1.45 0.60 -0.56  1.03
3 C -0.45 -0.48 0.36  -0.86
4 O 1.15 1.67 -0.28  -0.57
5 O 2.19 -0.20 -0.99  -0.60
6 O -2.92 -0.54 0.16  -0.71
7 H 0.27 -0.51 1.06  0.20

***

Copy entry 3 word for word.
Molecular formula: C3HO3
Method: DFT, ωB97M-V/def2-TZVPD

**Energy relative to the best compared isomer or geometry (same formula, charge and spin)**: 0.741 eV
**E_LUMO**: 4.20 eV
**Net charge**: -1
**HOMO level**: -0.141 Ha
**SMILES string**: O=C=CC(=O)[O-]
**Orbital gap**: 0.2949 Eh

Last column: natural (NBO) charge in e.
Cartesian coordinates (Å):
1 O 1.39 1.79 0.49  -0.59
2 C 0.36 1.24 0.27  0.60
3 C -0.59 0.48 -0.18  -0.69
4 C 0.12 -1.11 -0.04  0.85
5 O 0.71 -1.49 -1.04  -0.71
6 O -0.25 -1.57 1.02  -0.71
7 H -1.73 0.66 -0.52  0.25

***

Q: Among the records above, which one has the lowest energy relative to the best compared isomer or geometry (same formula, charge and spin)?
A: C3HO2V
____________
G-G diagram, basis of possible trajectories, Charlie
I suppose I'm "ruining" discussions based on opinions, because, sadly, in engineering you HAVE to measure things and arrive to properly designed objects: you know, wishful thinking is not the base of design.
That's why we have to have a certificate to be able to design, like doctors need one to operate: people's lives depend on your ability.
Original ideas are not allowed, original
work it is.
So, if you actually measure the friction factor of twigs and arrive to a solution that proves that cars will stop before they hit something or somebody, be my guest.
Once you do that you have to show the owner of the track that your solution is cost efficient and spectators are not located one mile away from the track because that's the distance cars need to be stopped.
That's why leca or gravel is not used anymore.
In case someone is interested on why paved runoff areas are used, well, why don't you read the experts? It must be the fourth time I post the following text, copying and pasting:
I don't see why asphalt runoffs are a matter of opinion. They are necessary.
The fact is that leca (gravel) traps are dangerous.
Gravel traps on road racing courses should be paved over so drivers can steer, brake and recover" -- John Fitch --
Now, if you know a little about barriers, you know who Mr. Fitch is and then you agree with him. If you don't know who he is, perhaps you can find very quickly.
Jhon Fitch in the 60's before receiving the Kenneth Stonex Award from the Transportation Research Board, National Academy of Sciences, for his lifelong contributions in the field of roadside safety
Now, from a really old TRB magazine, I find this (which I've already posted five years ago, pardon me for being so insistent):
The entire series of tests on gravel traps indicate a deceleration of only 0.5 G, or the rate of moderate braking for a passenger car.
The full scale study determined that even this modest rate does not begin until the car has slowed to 50 mph. This compares to a 3 to 4 G braking capability for Formula One cars on a paved surface. Then there are the lesser problems of cars being eliminated from races due to damage caused by the gravel, or by simply getting stuck."
Transportation Research Record 1233, 1989, Design and Testing of Roadside Safety Devices
1989. It's not exactly yesterday's news.
So, if you wish to decelerate mildly (and wildly) a car, use a gravel trap.
Is that or invention a new barrier: it's probably easy to do, why should we waste time with expensive tests and fancy university professors?